清华主页 EN







My research interests lie in the intersection between algebras, topology and geometry, with motivation coming from mathematical physics, e.g. (homological) mirror symmetry. In particular, I study things like Bridgeland’s stability conditions on triangulated categories, quivers with superpotentials, Calabi-Yau/Fukaya categories, braid groups, cluster theory, quadratic differentials, etc.


2008-2011 博士 巴斯大学 (Uni. of Bath, UK)

2004-2008 学士 北京大学


2020至今 清华大学丘成桐数学科学中心 教授

2018-2020 清华大学丘成桐数学科学中心 副教授

2016-2020 香港中文大学 研究助理教授

2013-2016 挪威科技大学 博士后

2012-2012 加拿大主教大学 博士后


2016 国际代数表示论会议(ICRA)奖


1. On the focus order of planar polynomial differential equations, with J. Yang,

J. Diff. Equations, 246 (2009), pp 3361-3379.

2. Ext-quivers of hearts of A-type and the orientation of associahedron,

J. Algebra, 393 (2013), pp 60-70. (arXiv:1202.6325)

3. Exchange graphs and Ext quivers, with A. King,

Adv. Math. 285 (2015), pp 1106–1154. (arXiv:1109.2924).

4. Stability conditions and quantum dilogarithm identities for Dynkin quivers,

Adv. Math. 269 (2015), pp 220-264. (arXiv:1111.1010)

5. Tagged mapping class group: Auslander-Reiten translations, with T. Brustle,

## Between two parts of the text: data records
~~~
{"formula": "C3H5FS2", "method": "ωB97M-V/def2-TZVPD", "max_force_ev_per_a": 4.58, "homo_energy_ha": -0.3406, "relative_energy_kcal_mol": 152.3, "symbols": ["S", "S", "F", "C", "C", "C", "H", "H", "H", "H", "H"], "coordinates": [[-1.51507, 0.55090, 1.04375], [1.35335, 1.06954, -0.41217], [-0.37453, -0.46381, -1.57618], [-0.40712, -0.83914, 0.80293], [0.92684, -0.59405, 0.22701], [0.00706, -1.43384, -0.56978], [-0.48250, -1.59431, 1.66200], [1.61557, -1.15392, 1.00462], [-2.14494, 0.23906, -0.34024], [3.82863, 0.46915, -0.31615], [-0.01924, -2.51041, -0.69085]], "atomic_forces_ev_per_a": [[-1.55, -1.17, -3.65], [3.00, -1.79, 1.05], [-0.76, -2.94, 0.07], [-1.16, -0.92, 0.90], [3.23, -1.37, 2.94], [-0.95, 3.34, 0.51], [0.32, 1.16, -1.45], [-0.47, 1.50, -2.33], [0.97, 1.07, 3.01], [-2.68, 0.74, -0.15], [0.05, 0.36, -0.92]], "lowdin_charge": [0.68, 0.60, -0.16, -0.69, -0.74, -0.23, 0.12, 0.14, 0.01, 0.13, 0.14]}
~~~
## So much for the data records

Math. Zeit. 279 (2015), pp 1103-1120. (arXiv:1212.0007)

6. C-sortable words as green mutation sequences,

Proc. Lond. Math. Soc. 111 (2015), pp 1052-1070. ( arXiv:1205.0034)

7. Decorated marked surfaces: Spherical twists versus braid twists,

Math. Ann. 365 (2016), pp 595-633.(arXiv:1407.0806).

8. Cluster categories for marked surfaces: punctured case, with Y. Zhou,

Compos. Math. 153 (2017), pp 1779-1819. (arXiv:1311.0010)

9. Decorated marked surfaces (Part B): Topological realizations,

Math. Z. 288 (2018) pp 39–53.

10. Contractible stability spaces and faithful braid group actions, with J. Woolf,

Geom. & Topol. 22 (2018) 3701–3760. (arXiv:1407.5986)

11. DMS~II: Intersection numbers and dimensions of Homs, with Y.Zhou,

Trans. Amer. Math. Soc., 372(2019) 635–660. (arXiv:1411.40033)

12. The braid group for a quiver with superpotential,

Sci. China. Math. 62 (2019) 1241-1256. (arXiv:1712.09585)

13. DMS~III: The derived category of a decorated marked surface, with A. Buan and Y. Zhou,

Int. Math. Res. Notice. https://doi.org/10.1093/imrn/rnz180. (arXiv:1804.00094)

14. Cluster exchange groupoids and framed quadratic differentials, with A. King,

Invent. Math. 220 (2020) 479–523. (arXiv:1805.00030)

15. Topological structure of spaces of stability conditions and top. Fukaya type categories

Proceeding of First Annual Meeting of ICCM. .(arXiv:1806.00010)

16. Decorated Marked Surfaces: Calabi-Yau categories and related topics

Proceeding of the 51st Symposium on Ring Theory and Rep. Theory, Okayama, Japan (arXiv:1812.00008)

17. Finite presentations for spherical/braid twist groups from decorated marked surfaces, with Y. Zhou,

J. Topology. 13 (2020) 501-538. (arXiv:1703.10053)

18. Stability conditions and A2 quivers, with T. Bridgeland and T. Sutherland,

Adv. Math. 365 (2020) 107049. (arXiv:1406.2566)


19. Frobenius morphisms and stability conditions, with W. Chang,


20. Global dimension function, Gepner equations and q-stability conditions.


21. q-Stability conditions on Calabi-Yau-X categories and twisted periods. with A. Ikeda,


22. q-Stability conditions via q-quadratic differentials for Calabi-Yau-X categories. with A. Ikeda,


23. Contractibility of space of stability conditions on the projective plane via global dimension function. with Yu-Wei Fan, Chunyi Li, and Wanmin Liu,


24. Graded decorated marked surfaces: Calabi-Yau-X categories of gentle algebras, with Akishi Ikeda and Yu Zhou,


25. Contractible flow of stability conditions via global dimension function.


上一篇:Caucher Birkar
